Monday, March 26, 2007

Additional Greetings, Comrades: the cleverness of our plan is quite apparent!

We must continue this tail of our noble efforts to convert the one you call BINAC to our glorious ways.
First we show our superior weaponry:

Not all of our weapons have disintegrated into such a state of disrepair:

Next we take this BINAC on tour of Communist collective farm and cereal factory. It is only one building:

Next we tour Communist Art Museum, and listen to several hours of Yakov Smirnov jokes. We all have laughter from deep in the belly! (Comrade Yakov is currently undercover in American military base called Branson Missouri.)

This Communizing makes a loyal patriot hungry, so we stop at local Communist housing collective called "Red Star on Tower of Water" for quick snack.

Cleanliness standards are quite impressive!

Finally, we go head down main Russian Audobon to city:

There we have great feeding at five-star Marzist restaurant--barbed wire at no additional charge -- and dine on fine CCPizza:

You Amerikans should be paying us to take tour such as this!
However, since the one you call BINAC has not resisted, we must consider more severe methods. Perhaps we may place nails into barrels and put certain persons into barrels and roll certain barrels then down hill into certain river.
Then we will see whether ransom will be paid.
Resistance is feudal--BINAC will soon submit to the lures of Mother Russia!.

Sunday, March 25, 2007

Greetings again, Comrade Birders!

We have regained control of your mighty intern-net.

We will return as soon as your Vice-President Al Gore repairs computer net and allows our connection to continue.

Later, Comrades.

Do *not* panic...everything is under control.

Please ignore that last message.

We are not sure what is going on, but someone hacked into the site yesterday, and the IP address was somewhere in Eastern Europe.

We have not heard from the part of the crew that is in Hungary since Thursday. It is possible that some sort of kidnapping situation has occurred. Since BINAC has no formal relations with Hungary, we have asked the Swedish Embassy in Budapest for assistance. We have also contacted a former SAS man in Bucharest, but apparently that is not even in the same country as Budapest, and it will take him several days to reach Budapest on his towns fastest donkey.

We are trying to raise the money for the ransom, but so far all we have collected is a few lottery tickets that have already been scratched off. Boy Scouts are trying to raise the money but rumor has it that the funds are going to be paid to the kidnapped to *not* return the rest of the crew safe and alive.

Saturday, March 24, 2007

Greetings, Comrade Birders

We are esteemed representatives of the most glorious former socialist satellite Soviet republic called Hungary.

We inform you now that the capitalist swine you call BINAC has been captured by glorious forces of allies of Mother Russia.

This swine BINAC has been taken to our Parliament,

where our leaders have tortured this BINAC until our peoples representatives learned the secrets of the Amerikan top secret rekreational vehicle.

We now have this BINAC in an inpenetrable and inpregnable castle that cannot be penetrated.

Unlike our local socialist prostitutes, this castle cannot be penetrated or impregnated.

We will be holding this fiend until you pay our ransom of ONE HUNDRED DOLLARS. We also require secret information about the other Amerikan birder we know only by his secret code name, MR. GUPPY.

If this BINAC means nothing to you, you will not pay this exorbitant sum.

But we want you to pay, so we can purchase women and cheap vodka.

To show we are serious, here is evidence of this Amerikan top secret telescopic device, captured from the spy BINAC, a device which has now volunteeringly defected to our glorious cause:

Comrades out!

Wednesday, March 21, 2007

About that mystery sparrow... is indeed the rare "House Sparrow." Congratulations to all who made the proper identification.

So, why did we post about that photo? Is this just another case of the evil BINAC mocking others for fun and profit?


We had a point to make. Two actually.

The first point is pretty obvious: Even people who consider themselves to be birders, and who regularly post to birding listserves, sometimes make mistakes on insanely easy species. (Insert random woodpecker joke here.)

The second point is a bit more obtuse but explains the first: Nobody learns how to bird anymore!

Before the Internet, this is how you learned how to "bird." You got a pair of binoculars, bought a field guide, and went out into the field. In the field, you struggled (unless you were a prodigy--you know who you are), got frustrated, and got discouraged.

But if you stuck with it, you eventually saw the light. You ran into another local birder, joined a local club, or went on a field trip, and you met other birders. Birders who were *better* than you, and who could show you how to separate Savannah from Song Sparrows -- in the field, not a book, or in your living room in front of a computer. These other birders didn't just *want* to help, they saw it as their obligation, their way of repaying the debt they owed to the birders who taught and mentored them.

That doesn't happen today as much as it should. The Internet has equalized everyone. With the digital cameras we have today, anyone can take a photo of an unknown bird they see, and have other people identify it for them. But that's not learning. You have to be able to make those id calls, in the field, by yourself. And the only way you can do that is to spend the time in the field, work through the tough spots, and get help from people who can actually show you how to make those calls in the field.

You know, the whole "teach a man how to fish" thing.

We know this generalization doesn't apply to everyone, but it applies to a lot of us. It's a two way street; experienced birders have to be willing to give their help, while newbie birders have to be willing to aceept the fact that they don't know everything, and be willing to take the help that is offered.

Gone Birdin'

We'll be headed overseas again tonight, hopefully someone back in the States will be able to post a few updates to the site while we're gone.

Tuesday, March 20, 2007

Why should you be nice to visiting birders?

Answer tomorrow.

And the answer is: Because that birder may find a stunning first state record bird and report it promptly, just like Missouri birder David Faintich and his group from St. Louis, who found Florida's first White Wagtail this week!

Update: There were some nice photos posted as attachments, but we don't want to steal those, so here is a link to someone who took some of the photos: Hopefully he will post photos of the White Wagtail soon, but it's a nice site to check out anyway.

The bird is apparently a smoker.

Monday, March 19, 2007

olivacea R.I.P.

We just noted this message on one of the Florida lists:


I received word this afternoon that long-time Florida birder, Noel Wamer of Jacksonville, passed away Sunday evening. I don't have any other details at this time, but thought those who knew him would want to know. In recent years, Noel kept the birding community updated on spring migratory movement coming north out of Cuba on his "badbirdz blog". The following self-assessment was taken from that blog...I am a grumpy old man who lives in northeast Florida. I have a major interest in birds, especially tracking migration using weather radars. Politically I am a godless liberal, placing me in the most oppressed minority in the world (4.7 percent of the population).

UPDATE: Here is a link to an obituary, with lots of nice comments from birder folks:

Saturday, March 10, 2007

Announcing the 2007 America's Birdiest City and County Competition

We were forwarded the following e-mail today regarding the 2007 ABC contest:

Hello to everyone,

I would like to welcome everyone back who has participated in the America's Birdiest City/County competition in the past and all newcomers, also. Before I go any further I would like to introduce myself.

## Records of crystals, kept here for reference
+++
Computed, not measured: crystalline ReOs3 at its relaxed geometry at the r2SCAN level of DFT.

Geometry as CIF:
```
data_ReOs3
_space_group_name_H-M_alt 'P 63/m m c'
_space_group_IT_number 194
_space_group_name_Hall '-P 6c 2c'
_cell_length_a 5.5100
_cell_length_b 5.5100
_cell_length_c 4.3413
_cell_angle_alpha 90.00
_cell_angle_beta 90.00
_cell_angle_gamma 120.00
loop_
_atom_site_label
_atom_site_type_symbol
_atom_site_fract_x
_atom_site_fract_y
_atom_site_fract_z
Re1 Re 0.3333 0.6667 0.2500
Os1 Os 0.1672 0.3344 0.7500
```

Final energy ... -52.9318 eV/atom
Size of the total moment ... 0.00 μB per cell


Here is a relaxed Ca12FeCo7O24 crystal from Materials Project. Energies are from PBE with a Hubbard U.

Values from the calculation:
- Mass density: 4293 kg/m3
- ΔH_f (0 K): -2.417 eV/atom

Geometry as POSCAR:
```
Ca12FeCo7O24
1.0
9.232 0.000 0.000
0.000 6.372 0.000
0.000 0.547 8.766
Ca Fe Co O
12 1 7 24
Cartesian
6.336 4.199 2.757
1.677 4.456 7.150
1.677 2.463 1.616
6.336 2.719 6.009
1.198 0.273 4.383
5.848 0.000 0.000
7.554 1.005 2.777
2.903 1.287 7.136
8.030 3.186 0.000
3.379 3.459 4.383
2.903 5.632 1.630
7.554 5.913 5.989
0.001 0.000 0.000
9.232 4.916 2.192
4.616 5.188 6.573
9.232 2.002 6.574
4.616 1.730 2.193
4.596 0.273 4.383
0.000 3.459 4.383
4.639 3.186 0.000
0.915 4.568 0.517
5.542 4.840 4.864
0.597 0.381 1.956
5.248 0.698 6.314
7.723 5.442 1.091
3.058 5.731 5.415
8.328 1.663 4.896
3.692 1.381 0.482
6.177 2.273 1.036
1.497 2.539 5.469
3.982 3.609 1.933
8.633 3.832 6.323
8.328 5.255 3.870
3.692 5.537 8.284
8.633 3.086 2.443
3.982 3.309 6.833
1.497 4.379 3.297
6.177 4.645 7.730
0.915 2.350 8.249
5.542 2.078 3.902
3.058 1.188 3.351
7.723 1.476 7.675
5.248 6.221 2.452
0.597 6.537 6.810
```


No. 1
A plane-wave DFT calculation with GGA+U was carried out for a geometry-optimized SrCaCo4O12 structure.

- ΔE_f: -120 kJ per mole of atoms
- Calculated volume: 11.8 Å³ per atom

Structure (POSCAR):
```
SrCaCo4O12
1.0
5.320 0.000 0.000
0.000 5.320 0.000
0.000 0.000 7.527
O Co Ca Sr
12 4 1 1
Direct
0.254 0.746 0.756
0.254 0.746 0.244
0.746 0.254 0.756
0.000 0.500 0.000
0.254 0.254 0.756
0.500 0.000 0.000
0.746 0.254 0.244
0.746 0.746 0.244
0.000 0.500 0.500
0.254 0.254 0.244
0.746 0.746 0.756
0.500 0.000 0.500
0.500 0.000 0.751
0.500 0.000 0.249
0.000 0.500 0.249
0.000 0.500 0.751
0.500 0.500 0.000
0.000 0.000 0.500
```

No. 2
A plane-wave DFT calculation with GGA+U was carried out for a geometry-optimized Li2MnCr2O6 structure.

- Offset from the most stable computed form: 0.0 kJ/mol of atoms
- ΔE_f: -216 kJ per mole of atoms
- Calculated volume: 10.1 Å³ per atom

Structure (POSCAR):
```
Li2MnCr2O6
1.0
4.430 6.480 0.000
-4.430 6.480 0.000
0.000 1.432 5.802
Cr O Li Mn
6 18 6 3
Direct
0.832 0.504 0.667
0.168 0.496 0.333
0.504 0.832 0.667
0.166 0.166 0.667
0.834 0.834 0.333
0.496 0.168 0.333
0.323 0.323 0.571
0.666 0.326 0.218
0.657 0.000 0.560
0.343 0.000 0.440
0.652 0.652 0.912
0.677 0.677 0.429
0.674 0.334 0.782
0.326 0.984 0.902
0.334 0.674 0.782
+++
## So much for the records of crystals

My name is Mike Wilson and I live just west of Mobile, Alabama, about 45 miles north of Dauphin Island, Alabama. I am very honored that Phil Pryde has chosen me to coordinate the ABC/C competition. Phil has done a wonderful job setting up a birding competition that is fun to participate in and different from other counts around the country. I am not in this alone, however. Dr. John Porter, Executive Director of Dauphin Island Bird Sancturaries (DIBS) has offered the sevices of their organization and website. DIBS, formally known as Friends of Dauphin Island Audubon Society, was established in the mid 80's to protect and preserve the 165 acre Audubon Sanctuary on Dauphin Island. Since then they have grown and now work tirelessly in purchasing key bird habitat on the island, protecting it from future development. As everyone is aware, the biggest problem the birds face is loss of habitat. As a barrier island Dauphin Island a strategic stopover spot for migrating birds that need a safe place to rest and refuel. DIBS has purchased lots on the island that are diverse in habitat, ranging from tupelo gum swamp to wooded lots that are home to some of the oldest live oaks along the gulf coast.

We have not made any changes in the rules of the competition from last year. You can pick your 72 hour period in which to have your count between April 1 and May 31. When you have finished your count you will need to email the results to me. I will periodically send out emails as reminders and you are always welcome to email me with any questions you might have. I am including the city/county categories and the rules below. You can also visit the DIBS website for information.

........
No. 1
Below is crystalline Mn2Ge at its relaxed geometry, with properties calculated at the GGA-PBE level.

Formation energy from the elements   0.399 eV per formula unit
Uncorrected energy   -22.55 eV/cell
Space-group type   No. 216
Total magnetization   0.0 μB/f.u.

Cell lengths 3.8622, 3.8622, 3.8622 Å; angles 60.00, 60.00, 60.00 degrees
Closest atoms and distances in Å follow each position.
Positions (direct):
Mn 0.0000 0.0000 0.0000  4 Mn 2.37
Mn 0.2500 0.2500 0.2500  4 Ge 2.37, 4 Mn 2.37
Ge 0.5000 0.5000 0.5000  4 Mn 2.37

---

No. 2
Below is crystalline Ca2Cu2Si3H4O12 at its relaxed geometry, with properties calculated at the GGA-PBE level.

Formation energy from the elements   -53.461 eV per formula unit
Uncorrected energy   -293.30 eV/cell
Space-group type   No. 11
Total magnetization   2.0 μB/f.u.
Energy relative to the lowest polymorph listed for this composition   0 meV/atom

Cell lengths 5.5694, 13.7108, 7.4768 Å; angles 90.00, 97.14, 90.00 degrees
Closest atoms and distances in Å follow each position.
Positions (direct):
Ca 0.0592 0.1160 0.3095  4 O 2.26-2.36
Ca 0.0592 0.3840 0.3095  4 O 2.26-2.36
Ca 0.9408 0.6160 0.6905  4 O 2.26-2.36
Ca 0.9408 0.8840 0.6905  4 O 2.26-2.36
Cu 0.2224 0.2500 0.9455  4 O 1.94-1.99
Cu 0.2784 0.7500 0.0269  4 O 1.95
Cu 0.7216 0.2500 0.9731  4 O 1.95
Cu 0.7776 0.7500 0.0545  4 O 1.94-1.99
Si 0.4427 0.7500 0.5784  4 O 1.61-1.65
Si 0.4881 0.5876 0.2733  4 O 1.60-1.72
Si 0.4881 0.9124 0.2733  4 O 1.60-1.72
Si 0.5119 0.0876 0.7267  4 O 1.60-1.72
Si 0.5119 0.4124 0.7267  4 O 1.60-1.72
Si 0.5573 0.2500 0.4216  4 O 1.61-1.65
H 0.0880 0.5967 0.0809  1 O 1.01
H 0.0880 0.9033 0.0809  1 O 1.01
H 0.1158 0.0682 0.7353  1 O 0.98
H 0.1158 0.4318 0.7353  1 O 0.98
H 0.8842 0.5682 0.2647  1 O 0.98
H 0.8842 0.9318 0.2647  1 O 0.98
H 0.9120 0.0967 0.9191  1 O 1.01
H 0.9120 0.4033 0.9191  1 O 1.01
O 0.0216 0.6520 0.0009  1 H 1.01
O 0.0216 0.8480 0.0009  1 H 1.01
O 0.2042 0.7500 0.6801  1 Si 1.61
O 0.2306 0.0388 0.6613  1 H 0.98
O 0.2306 0.4612 0.6613  1 H 0.98
O 0.2649 0.5149 0.2251  1 Si 1.60, 1 H 1.77
O 0.2649 0.9851 0.2251  1 Si 1.60, 1 H 1.77
O 0.2997 0.2500 0.2947  1 Si 1.62
O 0.4362 0.6523 0.4488  2 Si 1.64-1.65
O 0.4362 0.8477 0.4488  2 Si 1.64-1.65
O 0.4671 0.1548 0.9023  1 Si 1.65
O 0.4671 0.3452 0.9023  1 Si 1.65
O 0.5329 0.6548 0.0977  1 Si 1.65
O 0.5329 0.8452 0.0977  1 Si 1.65
O 0.5638 0.1523 0.5512  2 Si 1.64-1.65
O 0.5638 0.3477 0.5512  2 Si 1.64-1.65
O 0.7003 0.7500 0.7053  1 Si 1.62
O 0.7351 0.0149 0.7749  1 Si 1.60, 1 H 1.77
O 0.7351 0.4851 0.7749  1 Si 1.60, 1 H 1.77
O 0.7694 0.5388 0.3387  1 H 0.98
O 0.7694 0.9612 0.3387  1 H 0.98
O 0.7958 0.2500 0.3199  1 Si 1.61
O 0.9784 0.1520 0.9991  1 H 1.01
O 0.9784 0.3480 0.9991  1 H 1.01

---

No. 3
Below is crystalline Sr2LiTi6N2O11 at its relaxed geometry, with properties calculated at the GGA-PBE level.

Formation energy from the elements   -66.858 eV per formula unit
Uncorrected energy   -183.06 eV/cell
Space-group type   No. 1
........
### So much for the calculated crystals

We are having beautiful sping weather here on the Alabama gulf coast already and I'm exited about migration. I hope everyone has good weather and a great count!Let's go birding!


Here are the categories:

Large Coastal City (population over 100,000)
Large Inland City (population over 100,000)
Small Coastal City (population under 100,000)
Small Inland City (population under 100,000)
Inland Eastern County
Inland Western County
Coastal Gulf Coast County
Coastal Atlantic County
Coastal Pacific County

The Rules:In order to have all teams in the "America's Birdiest City" and "America's Birdiest County" ("ABC/C") competitions operating in the same manner, and to insure a "level playing field" for all participants, the following conventions have been developed to guide "ABC/C" teams in the field The main "rules of the game" are as follows:

1. All entrants must conduct their "ABC/C" Bird-a-thon between the dates of April 1 and May 31.

2. "ABC/C" competitors must record all bird identifications within the legal boundaries of their selected city or county. For "City" entrants, most automobile club and Thomas Bros. maps show city limits; birding in suburbs and in unincorporated areas is not permitted. For both City and County entrants, be sure that birds aloft and those identified by call are within your city or county's boundaries.

3. For coastal cities, the "birdable area" extends one mile (i.e., as far as you can scope) out into salt water (or Lake water) from the shore, or from offshore islands that are legally a part of the city or county involved. All birds counted must be identified from land (this rule results from a participants' poll taken in 2003, and mainly reflects the fact that the participants were not at all in agreement as to how far out into the ocean should be considered part of a city [or county]).

4. All cities or counties that enter will select a 72-hour bird-a-thon "window" for their count. You may have as many teams as you like and teams can have as many members as you like. All teams and participants are allowed to count the whole 72 hour window.

5. "ABC/C" bird-a-thon entrants can use any number of participants and teams they wish.

6. All birds, to be officially countable, must be positively identified as to species by sight or sound (the honor system is employed here). No "sps", please (i.e., no genera/family entries, such as "Loon, sp.").

7. Only ABA-approved birds are countable; no psilly psittacines, please!

8. Any rare birds encountered should be written up, just as at a Christmas count.

9. "ABC" Bird-a-thon teams respect private property and in general comply with all the "rules of birding ethics" that have been published by groups such as ABA or NAS.

10. "ABC" Bird-a-thon teams must promptly provide the coordinator (below) with a summary of their results that includes a complete list of all species identified. This write-up verifies your sightings and allows a credible comparison of results. The write-up must be received by the coordinator by May 31.

Thursday, March 08, 2007

Breaking News: New species for the ABA area?

The Florida birding lists are reporting a Loggerhead Kingbird at Zachary Taylor State Park in Key West, Florida, a spot we have visited many times.

One of the posters mentioned that this would be a first North American record; we don't have our ABA-area lists to check this, but it certainly is a great rarity for Florida.

Wednesday, March 07, 2007

[Misplaced crystal structures]
<<<
Record 1
Density functional theory data (GGA+U) for a relaxed structure of RbFeMo2O8.

Cell: 5.7884 5.7884 7.8773 Å, 90.00 90.00 120.00°
Last column: nearest neighbours and their distance in Å.
Atoms (fractional coordinates):
Rb (0.0000, 0.0000, 0.5000)  12 O 3.19-3.37
Fe (0.0000, 0.0000, 0.0000)  6 O 2.01
Mo (0.3333, 0.6667, 0.2209)  4 O 1.75-1.81
Mo (0.6667, 0.3333, 0.7791)  4 O 1.75-1.81
O (0.8386, 0.1614, 0.8486)  1 Mo 1.81, 1 Fe 2.01
O (0.8386, 0.6771, 0.8486)  1 Mo 1.81, 1 Fe 2.01
O (0.3229, 0.1614, 0.8486)  1 Mo 1.81, 1 Fe 2.01
O (0.6771, 0.8386, 0.1514)  1 Mo 1.81, 1 Fe 2.01
O (0.3333, 0.6667, 0.4432)  1 Mo 1.75
O (0.6667, 0.3333, 0.5568)  1 Mo 1.75
O (0.1614, 0.3229, 0.1514)  1 Mo 1.81, 1 Fe 2.01
O (0.1614, 0.8386, 0.1514)  1 Mo 1.81, 1 Fe 2.01

## Properties
Symmetry: P-3m1 (164)
V in Å³ per cell: 228.57
E_form in eV per atom: -2.015



Record 2
Density functional theory data (GGA+U) for a relaxed structure of Li24Mn7Cr5O36.

Cell: 4.9990 9.7236 13.2692 Å, 97.13 100.47 94.64°
Last column: nearest neighbours and their distance in Å.
Atoms (fractional coordinates):
Li (0.1669, 0.9999, 0.8333)  6 O 2.04-2.19
Li (0.0547, 0.0011, 0.6150)  6 O 2.05-2.26
Li (0.9994, 0.7495, 0.2503)  6 O 2.07-2.12
Li (0.3331, 0.7502, 0.9176)  6 O 2.07-2.13
Li (0.0465, 0.4988, 0.1117)  6 O 2.05-2.21
Li (0.3799, 0.5008, 0.7777)  6 O 2.04-2.23
Li (0.1658, 0.5007, 0.3337)  6 O 2.03-2.20
Li (0.5022, 0.5000, 0.0001)  6 O 2.04-2.19
Li (0.2854, 0.4997, 0.5544)  6 O 2.05-2.18
Li (0.3316, 0.2512, 0.4173)  6 O 2.07-2.13
Li (0.5008, 0.9996, 0.5000)  6 O 2.03-2.19
Li (0.2802, 0.9999, 0.0528)  6 O 2.05-2.21
Li (0.6143, 0.9980, 0.7180)  6 O 2.05-2.25
Li (0.3810, 0.9984, 0.2794)  6 O 2.05-2.23
Li (0.7186, 0.0015, 0.9485)  6 O 2.05-2.24
Li (0.6636, 0.7503, 0.5845)  6 O 2.06-2.13
Li (0.7140, 0.4997, 0.4442)  6 O 2.04-2.23
Li (0.8306, 0.5001, 0.6665)  6 O 2.04-2.20
Li (0.6225, 0.5028, 0.2227)  6 O 2.05-2.25
Li (0.9537, 0.4996, 0.8894)  6 O 2.04-2.24
Li (0.6678, 0.2492, 0.0821)  6 O 2.06-2.14
Li (0.8319, 0.0000, 0.1664)  6 O 2.03-2.18
Li (0.0015, 0.2496, 0.7492)  6 O 2.07-2.13
Li (0.9526, 0.9998, 0.3856)  6 O 2.05-2.21
Mn (0.1097, 0.2499, 0.9727)  6 O 1.92-1.95
Mn (0.2246, 0.7510, 0.6943)  6 O 1.92-1.95
Mn (0.4426, 0.2488, 0.6378)  6 O 1.92-1.95
Mn (0.4439, 0.7500, 0.1391)  6 O 1.93-1.94
Mn (0.5536, 0.7487, 0.3598)  6 O 1.92-1.95
Mn (0.8917, 0.2515, 0.5283)  6 O 1.92-1.95
Mn (0.8909, 0.7503, 0.0291)  6 O 1.93-1.95
Cr (0.1045, 0.7503, 0.4733)  6 O 1.89-1.98
Cr (0.2250, 0.2480, 0.1926)  6 O 1.89-1.98
Cr (0.5598, 0.2501, 0.8591)  6 O 1.90-1.99
Cr (0.7765, 0.7496, 0.8079)  6 O 1.91-1.99
Cr (0.7739, 0.2517, 0.3075)  6 O 1.88-1.98
O (0.0014, 0.8622, 0.9306)  1 Mn 1.93, 1 Cr 1.95, 2 Li 2.06-2.08
O (0.0676, 0.6360, 0.7840)  1 Cr 1.94, 1 Mn 1.95, 4 Li 2.04-2.16
O (0.0044, 0.3640, 0.4314)  1 Mn 1.92, 1 Cr 1.97, 2 Li 2.05-2.07
O (0.1426, 0.3617, 0.6436)  2 Mn 1.93-1.94, 2 Li 2.06-2.07
O (0.2648, 0.3642, 0.8827)  1 Mn 1.95, 1 Cr 1.96, 4 Li 2.04-2.16
>>>
[So much for the crystal structures]

You might have noticed a few changes around here...

..and we can assure you that they were unintentional!

Actually, we were sued by Mr. Guppy, so we had to take the site down...oh we're just kidding.

What really happened is that when we switched over from Blogger to Google...blah blah blah....technical crap....blah blah blah...Google sucks...blah blah blah...wrong template saved...blah blah blah...shit disappears...blah blah blah...and you get the picture. Anyway, we've sort of decided to start fresh, we will get some of the standard links and counters back up when we can, but don't expect it to happen overnight.

If you've been paying attention to the recent comments there is some interesting stuff going on commenter called another a "dough-head fascist" and "jingoistic fuck," while the Lovely Birdchick expressed her unyielding love for all things BINAC.

Good stuff.

Sunday, March 04, 2007

Mystery Sparrow in Florida--ID Help Needed!!!

A Florida birder has requested help in identifying this "unknown sparrow." We thought about sending the photo to ID-Frontiers, or maybe even to, but we're not sure those folks would be able to come up with an appropriate response.

Here's the unknown sparrow--can anyone id this species?:
